Daily readings from Jeremiah: week commencing 13th Nov

As you read each passage, pray for God’s help. Ask yourself:

  • What does God reveal about Himself?
  • How is your own heart revealed?
  • How does this passage underline the wonder of God’s love for us in Jesus Christ, and your own need of Christ as Saviour and Lord?
  • Turn these truths into prayer and praise.

13 November Jer 46:1-12

The closing chapters of Jeremiah address the surrounding nations, in line with his calling (see 1:10). He warns that Babylon’s expansion will bring God’s judgement on all the nations (chs.46-49), but promises that in the end Babylon too will be judged (chs.50-51). In 46:1-12 he foresees Egypt, in which Judah had place so much false hope, being exposed. The surging pride of vv.7-9 leads not to glorious victory over Babylon but to painful defeat (vv.2-6). That day belongs to the Lord, not Egypt (vv.10-12).

14 November Jer 46:13-28

Jeremiah’s next oracle warns of a Babylonian attack on Egyptian territory. Egypt’s mercenaries desert her (vv.16, 21), her own armies flee in disarray (vv.20-24), and Pharaoh will be a figure of contempt (v.17). The judgement is on Egypt’s gods and kings, and on those who place their hope in them (v.25), including the Jews who have sought refuge from Babylon by fleeing to Egypt (43:7). Yet God still speaks a word of hope even to Egypt (v.26) and to the scattered Jewish remnant (vv.27-28).

15 November Jer 47:1-7

The general upheaval of nations in Jeremiah’s time had dreadful consequences for many. Pharaoh (v.1) was no match for the Babylonians but he could still wreak havoc on the much smaller Philistine nation (vv.2-3), possibly on Egypt’s return from the battle of Carchemish (46:2). This is seen as God’s judgement on the Philistines (v.4-7). Note vv.6-7: as long as human mutiny persists, how can the sword of the Lord rest?

Unrelated to this piece: materials data:
/*
# 1
The following is a simulated powder XRD pattern of Ho2ZrSe5. It was derived from a structure optimized by DFT (GGA-PBE), using Cu Kα.

Top 6 peaks for 5° ≤ 2θ ≤ 70°, sorted by position:
two_theta, I (rel.), h k l
13.12, 51, 0 2 0
17.42, 100, 1 1 0
24.01, 79, 0 2 3
32.58, 75, 2 0 0
33.37, 63, 0 4 3
47.33, 47, 2 4 3

Crystal structure
a = 5.496 Å, b = 13.499 Å, c = 13.301 Å
α = 90.00°, β = 90.00°, γ = 90.00°
Space group Cmcm (No. 63)
Unique sites:
Ho  0.000  0.149  0.059 x8
Zr  0.000  0.195  0.750 x4
Se  0.000  0.048  0.623 x8
Se  0.000  0.260  0.250 x4
Se  0.000  0.316  0.580 x8


# 2
The following is a simulated powder XRD pattern of InBP2H5NO9. It was derived from a structure optimized by DFT (GGA-PBE), using Cu Kα.

Top 6 peaks for 5° ≤ 2θ ≤ 70°, sorted by position:
two_theta, I (rel.), h k l
14.40, 100, 0 1 1
19.14, 51, 1 0 1
21.19, 64, 0 2 0
25.87, 40, 1 0 2
27.43, 38, 1 0 -2
33.83, 34, 2 0 0

Crystal structure
a = 5.376 Å, b = 8.505 Å, c = 8.649 Å
α = 86.83°, β = 86.18°, γ = 80.77°
Space group P-1 (No. 2)
Unique sites:
In  0.219  0.213  0.321 x2
B  0.394  0.569  0.221 x2
P  0.284  0.811  0.430 x2
P  0.299  0.687  0.914 x2
H  0.067  0.084  0.784 x2
H  0.118  0.538  0.386 x2
H  0.142  0.155  0.952 x2
H  0.310  0.191  0.786 x2
H  0.336  0.003  0.865 x2
N  0.213  0.109  0.847 x2
O  0.044  0.774  0.862 x2
O  0.054  0.728  0.487 x2
O  0.190  0.962  0.328 x2
O  0.229  0.471  0.312 x2
O  0.252  0.653  0.091 x2
O  0.368  0.526  0.832 x2
O  0.438  0.846  0.561 x2
O  0.463  0.690  0.322 x2
O  0.490  0.209  0.115 x2


# 3
The following is a simulated powder XRD pattern of BiIrW. It was derived from a structure optimized by DFT (GGA-PBE), using Cu Kα.

Top 6 peaks for 5° ≤ 2θ ≤ 70°, sorted by position:
two_theta, I (rel.), h k l
31.48, 10, 1 0 2
36.88, 100, 1 0 3
37.78, 62, 1 1 0
54.50, 22, 2 0 0
65.85, 9, 1 1 6
67.63, 35, 2 1 3

Crystal structure
a = 3.367 Å, b = 3.367 Å, c = 10.595 Å
α = 90.00°, β = 90.00°, γ = 90.00°
Space group P4/mmm (No. 123)
Unique sites:
Bi  0.000  0.000  0.171 x2
Ir  0.000  0.000  0.500 x1
Ir  0.500  0.500  0.000 x1
W  0.500  0.500  0.383 x2


# 4
The following is a simulated powder XRD pattern of Te2IrPt. It was derived from a structure optimized by DFT (GGA-PBE), using Cu Kα.

Top 6 peaks for 5° ≤ 2θ ≤ 70°, sorted by position:
two_theta, I (rel.), h k l
12.91, 48, 0 0 3
31.15, 100, 1 0 4
40.26, 32, 1 0 7
45.38, 45, 1 1 0
55.89, 21, 0 1 11
56.07, 19, 0 2 4

Crystal structure
a = 3.9967 Å, b = 3.9967 Å, c = 20.5682 Å
α = 90.00°, β = 90.00°, γ = 120.00°
Space group R3m (No. 160, hexagonal axes)
Unique sites:
Te  0.0000  0.0000  0.0000 x3
Te  0.0000  0.0000  0.1895 x3
Ir  0.0000  0.0000  0.4658 x3
Pt  0.0000  0.0000  0.7252 x3


# 5
The following is a simulated powder XRD pattern of CsMg2In2. It was derived from a structure optimized by DFT (GGA-PBE), using Cu Kα.

Top 6 peaks for 5° ≤ 2θ ≤ 70°, sorted by position:
two_theta, I (rel.), h k l
23.94, 85, 1 1 0
27.83, 100, 1 0 3
28.15, 41, 1 1 2
34.11, 61, 2 0 0
40.95, 39, 1 0 5
*/

16 November Jer 48:1-10

Moab had ties of kinship with Israel but frequently behaved as an enemy. The frequent place-names in this chapter are locations in Moab. Jeremiah describes Moab suffering invasion just as Israel and Judah had done. Verse 7 highlights the bitter fruits of false trust, namely exile and the removal of the image of their false god, Chemosh, and his servants. Moab’s destruction by Babylon is the Lord’s judgement (v.10).

## Data records, kept here for reference
'''
Record 1
Diffraction record for V2Si4O11. The powder XRD pattern is simulated, not measured: it uses a DFT-relaxed cell (GGA+U, the Materials Project) and Cu Ka.
Neutral-atom scattering factors, no anomalous dispersion.

Most intense lines, 10 to 80 degrees two-theta, by angle:
2θ/deg  I (rel.)  h k l
12.75  50.3  0 1 0
13.51  35.5  1 0 0
22.48  26.9  0 1 -2
26.39  14.6  2 -1 0
26.54  24.0  1 -2 1
27.14  100.0  1 -1 2
30.34  64.7  2 0 -2
32.56  27.6  1 2 0
33.50  26.9  2 1 0
42.86  48.7  1 1 -4

Atomic structure:
```
data_V2Si4O11
_symmetry_space_group_name_H-M 'P -1'
_symmetry_Int_Tables_number 2
_cell_length_a 6.9944
_cell_length_b 7.3635
_cell_length_c 8.6189
_cell_angle_alpha 99.47
_cell_angle_beta 101.29
_cell_angle_gamma 104.64
loop_
_symmetry_equiv_pos_as_xyz
'x,y,z'
'-x,-y,-z'
loop_
_atom_site_label
_atom_site_type_symbol
_atom_site_fract_x
_atom_site_fract_y
_atom_site_fract_z
V1 V 0.1226 0.3863 0.3840
V2 V 0.1249 0.3856 0.8873
Si1 Si 0.1194 0.9772 0.2694
Si2 Si 0.2792 0.7789 0.9804
Si3 Si 0.2815 0.7760 0.5424
Si4 Si 0.4821 0.6036 0.2713
O1 O 0.0814 0.6262 0.9132
O2 O 0.0819 0.1604 0.8059
O3 O 0.0817 0.6265 0.4317
O4 O 0.0931 0.1608 0.3110
O5 O 0.2414 0.9434 0.1035
O6 O 0.2535 0.9416 0.4766
O7 O 0.2962 0.4453 0.1796
O8 O 0.2997 0.4290 0.6811
O9 O 0.3368 0.8151 0.7858
O10 O 0.4576 0.7033 0.4841
O11 O 0.4584 0.7153 0.1069
```



Record 2
Diffraction record for Zn2Cr9O13. The powder XRD pattern is simulated, not measured: it uses a DFT-relaxed cell (GGA+U, the Materials Project) and Cu Ka.
Neutral-atom scattering factors, no anomalous dispersion.

Most intense lines, 10 to 80 degrees two-theta, by angle:
2θ/deg  I (rel.)  h k l
29.31  28.8  0 1 4
33.90  73.9  0 1 5
34.02  26.9  1 -1 2
34.32  100.0  0 1 -6
34.41  34.7  0 2 -1
35.65  34.1  1 1 0
35.97  49.4  1 1 -2
36.73  30.2  1 1 1
47.68  25.9  -1 2 3
53.66  26.7  1 2 3

Atomic structure:
```
data_Zn2Cr9O13
_symmetry_space_group_name_H-M 'P -1'
_symmetry_Int_Tables_number 2
_cell_length_a 3.0787
_cell_length_b 5.2371
_cell_length_c 16.9367
_cell_angle_alpha 97.78
_cell_angle_beta 92.89
_cell_angle_gamma 95.53
loop_
_symmetry_equiv_pos_as_xyz
'x,y,z'
'-x,-y,-z'
loop_
_atom_site_label
_atom_site_type_symbol
_atom_site_fract_x
_atom_site_fract_y
_atom_site_fract_z
Zn1 Zn 0.0210 0.0447 0.2743
Cr1 Cr 0.0000 0.5000 0.0000
Cr2 Cr 0.1097 0.7802 0.5418
Cr3 Cr 0.2644 0.0055 0.9160
Cr4 Cr 0.4948 0.3691 0.6220
Cr5 Cr 0.4967 0.4954 0.8297
O1 O 0.0267 0.6864 0.1148
O2 O 0.0383 0.7504 0.8169
O3 O 0.0461 0.6292 0.6460
O4 O 0.0678 0.8620 0.4251
O5 O 0.4628 0.2614 0.0222
O6 O 0.4864 0.7921 0.2770
O7 O 0.5000 0.5000 0.5000
```



What did the second record say?
Diffraction record for Zn2Cr9O13. The powder XRD pattern is simulated, not measured: it uses a DFT-relaxed cell (GGA+U, the Materials Project) and Cu Ka.
Neutral-atom scattering factors, no anomalous dispersion.

Most intense lines, 10 to 80 degrees two-theta, by angle:
2θ/deg  I (rel.)  h k l
29.31  28.8  0 1 4
33.90  73.9  0 1 5
34.02  26.9  1 -1 2
'''

17 November Jer 48:11-47

The picture of Moab that builds up in this chapter is chiefly one of arrogance. Her prosperity had bred complacency (v.11) rather than godly character. Her pride will be brought low (vv.14-25), especially her pride against Israel (vv.26-30). Jeremiah wails for her, as he once did for his own people (vv.31-39). The eagle of v.40 is Nebuchadnezzar, God’s instrument of judgement. Yet the final note is one of grace and renewal to those who have been God’s enemies (v.47).

18 November Jer 49:1-6

Calculated crystals, as found in the file =
-- begin --
LiMnVP2H2O10: calculated powder X-ray diffraction pattern (copper Kα), based on a PBE+U-relaxed structure.

Most intense lines, 15 to 90 degrees two-theta, by intensity:
(hkl)  d (Å)  Position (°2θ)  intensity
1 1 2  3.431  25.97  100
1 2 1  3.285  27.15  98
-2 1 1  2.995  29.83  73
1 -1 0  4.699  18.88  56
1 0 -1  4.946  17.94  49
1 0 1  4.900  18.11  46
0 0 2  3.577  24.90  37
1 1 -2  2.514  35.72  35
0 1 -1  4.053  21.93  30
0 3 1  2.449  36.69  28
0 2 0  3.326  26.80  28
0 1 3  2.651  33.81  26

Cell and atoms:
a b c (Å): 6.786 7.432 7.990
angles (deg): 63.54 89.98 88.89
Space group P-1 (No. 2)
Inequivalent atoms, fractional coordinates:
1 Li 0.173 0.383 0.262 [2 per cell]
2 Mn 0.000 0.000 0.500 [1 per cell]
3 Mn 0.500 0.500 0.000 [1 per cell]
4 V 0.255 0.250 0.750 [2 per cell]
5 P 0.100 0.777 0.954 [2 per cell]
6 P 0.400 0.725 0.549 [2 per cell]
7 H 0.035 0.681 0.475 [2 per cell]
8 H 0.484 0.834 0.003 [2 per cell]
9 O 0.008 0.291 0.853 [2 per cell]
10 O 0.044 0.179 0.205 [2 per cell]
11 O 0.088 0.238 0.540 [2 per cell]
12 O 0.231 0.588 0.990 [2 per cell]
13 O 0.237 0.956 0.919 [2 per cell]
14 O 0.261 0.547 0.577 [2 per cell]
15 O 0.269 0.906 0.528 [2 per cell]
16 O 0.410 0.271 0.945 [2 per cell]
17 O 0.453 0.334 0.291 [2 per cell]
18 O 0.486 0.213 0.638 [2 per cell]

~~~~~

[1]
# Ba3CuSi4
Computed X-ray diffraction stick pattern, Cu Kα (weighted mean of Kα1 and Kα2). Input: a DFT-relaxed cell (GGA-PBE, Alexandria).
Kinematic intensities with the Lorentz-polarization factor, no thermal factor.

Atomic structure:
Lattice parameters (Å, degrees): 5.512 6.817 13.252 90.00 90.00 90.00
Space group Immm (No. 71)
Asymmetric unit:
Ba1 0.000 0.000 0.000
Ba2 0.000 0.500 0.185
Cu1 0.000 0.000 0.500
Si1 0.000 0.305 0.408

Most intense lines, 2θ from 10° to 90°, by angle:
index	Position (°2θ)	d/Å	I (rel.)
0 1 3	24.01	3.707	370
1 1 2	24.74	3.599	1000
0 2 0	26.14	3.409	227
1 2 1	31.59	2.832	234
2 0 0	32.49	2.756	313
1 1 4	34.21	2.621	193
1 0 5	37.66	2.389	205
2 1 3	40.81	2.211	225
1 3 2	45.28	2.003	256
2 2 6	60.16	1.538	146

[2]
# Ba8CuSi16
Computed X-ray diffraction stick pattern, Cu Kα (weighted mean of Kα1 and Kα2). Input: a DFT-relaxed cell (GGA-PBE, Alexandria).
Kinematic intensities with the Lorentz-polarization factor, no thermal factor.

Atomic structure:
Lattice parameters (Å, degrees): 6.658 8.720 12.373 90.45 90.82 90.94
Space group P1 (No. 1)
Asymmetric unit:
Ba1 0.000 0.000 0.000
Ba2 0.000 0.336 0.690
Ba3 0.004 0.505 0.326
Ba4 0.018 0.848 0.634
Ba5 0.465 0.347 0.126
Ba6 0.495 0.851 0.192
Ba7 0.497 0.673 0.825
Ba8 0.526 0.169 0.461
Cu1 0.709 0.782 0.421
Si1 0.015 0.893 0.360
Si2 0.031 0.141 0.451
Si3 0.089 0.124 0.263
Si4 0.172 0.630 0.047
Si5 0.319 0.076 0.798
Si6 0.322 0.560 0.551
Si7 0.348 0.790 0.440
Si8 0.498 0.543 0.380
Si9 0.502 0.281 0.708
Si10 0.506 0.040 0.962
Si11 0.639 0.279 0.889
Si12 0.674 0.046 0.776
Si13 0.682 0.574 0.550
Si14 0.810 0.634 0.049
Si15 0.963 0.402 0.985
Si16 0.989 0.634 0.878
-- stop --
Back to the entry =

Ammon, like Moab, was an ancient enemy of Israel. Ammon’s sin (v.1) was to seek to dispossess Israel of her territory, and all in the name of their god, Molek (or Molech). God will act in judgement (v.2), resulting once again in the exile of the people and the humiliation of their god (v.3). Boastful – and false – trust in wealth is condemned (vv.4-5). Yet once again there is the prospect of ultimate mercy (v.6)

19 November Jer 49:7-22

The proud Edomites were more used to inspiring fear than experiencing it (v.16). Yet God speaks of total disaster that will befall them (vv.9-11). We find the reason for this judgement in Obadiah vv.11-14: Edom had assisted Babylon against Judah and gloated over Judah’s downfall. This was particularly reprehensible given their kinship (Edom being descended from Jacob’s brother Esau). Now Jeremiah warns that all Edom’s famed wisdom cannot avert this judgement (v.7), nor can they hide even in this land of hiding places (vv.10,16).